Wrangell Senior Apartments go Smoke-Free!
By Tammi Meissner, Health Educator, SEARHC Health Promotion
No-smoking policies are rare in public housing. This is especially troubling because it affects disadvantaged and vulnerable populations who have little choice when it comes to tobacco smoke exposure. In 2008-2009, 32% of households in public housing included elderly persons. Wrangell Senior Apartments is leading the way for policy and practice change for Wrangell’s seniors.
In apartments, secondhand smoke seeps through light fixtures, electrical outlets, ventilation systems and doorways that are part of shared residential spaces.
- Nonsmokers who are exposed to secondhand smoke at work or home increase their risk of heart disease by 25-30% and risk of lung cancer by 20-30%
- Heating, ventilation and air conditioning systems alone do not control secondhand smoke exposure. In fact, these systems may distribute to secondhand smoke throughout the building.
- Smoking in multi-unit housing is a fire hazard and poses the risk of injury or death to all tenants, including nonsmokers.
Smoke-free housing is important because it improves tenant satisfaction, improves tenant health and reduces operating costs for owners. The cost to rehab an apartment where smoking is prohibited versus apartments where smoking is allowed has a monetary impact. It can cost anywhere from $1,800 to $3,500 to clean and turn over an apartment.
The Wrangell Senior Apartments board members and tenants agreed that creating a healthy smoke-free environment was a priority as well as reducing the costs to rehab apartments. It was clear, board members and tenants agreed that everyone has the right to breathe clean air. This was evident because all board members supported a smoke-free multi-unit housing policy and there was not one complaint from the 24 leased units of the Senior Apartments in regards to becoming smoke-free.
Records of crystals that have nothing to do with the piece:
........
For PaSnGeN, a GGA-PBE-relaxed structure gives the theoretical powder XRD pattern in this record (copper Kα).
Intensities are scaled so that the largest is 100.

The 10 most intense peaks (2θ = 10–90°), low angle first:
27.5°, I 45; 27.8°, I 23; 28.4°, I 27; 30.6°, I 100; 36.6°, I 27; 45.7°, I 50; 52.4°, I 16; 54.3°, I 23; 56.0°, I 19; 75.0°, I 16

Structural model:
Cell: 3.9745 3.9745 38.4977 Å, 90.00 90.00 120.00°
Space group R-3m (No. 166, hexagonal axes)
One atom of each set of equivalent atoms:
Pa: 0.0000 0.0000 0.1295 x6
Sn: 0.0000 0.0000 0.2923 x6
Ge: 0.0000 0.0000 0.4130 x6
N: 0.0000 0.0000 0.1878 x6

~~~~~

1.
This entry pairs a crystal structure of Sr2InSbS6 with its simulated powder diffraction line list. Radiation: Cu Kα (λ = 1.5418 Å). Structure: a crystal structure in Alexandria, relaxed with PBE.
Kinematic intensities with the Lorentz-polarization factor, no thermal factor.

Most intense lines, 10° ≤ 2θ ≤ 90°, by intensity:
- 2θ = 25.55°, I 100
- 2θ = 25.36°, I 100
- 2θ = 35.92°, I 62
- 2θ = 45.05°, I 53
- 2θ = 36.68°, I 48
- 2θ = 25.74°, I 45
- 2θ = 24.64°, I 41
- 2θ = 45.38°, I 37
- 2θ = 17.74°, I 36
- 2θ = 39.61°, I 32

Structural model:
a = 6.924 Å, b = 7.227 Å, c = 11.942 Å
α = 90.00°, β = 124.85°, γ = 90.00°
Space group P2_1/c (No. 14)
Unique sites:
Sr (0.220, 0.086, 0.248) x4
In (0.000, 0.000, 0.500) x2
Sb (0.500, 0.000, 0.000) x2
S (0.145, 0.189, 0.947) x4
S (0.262, 0.700, 0.947) x4
S (0.368, 0.028, 0.754) x4

***

2.
This entry pairs a crystal structure of Nb3V5B8Ir4 with its simulated powder diffraction line list. Radiation: Cu Kα (λ = 1.5418 Å). Structure: a crystal structure in Alexandria, relaxed with PBE.
Kinematic intensities with the Lorentz-polarization factor, no thermal factor.

Most intense lines, 10° ≤ 2θ ≤ 90°, by intensity:
- 2θ = 42.03°, I 100
- 2θ = 15.40°, I 50
- 2θ = 31.73°, I 36
- 2θ = 38.56°, I 32
- 2θ = 42.14°, I 31
- 2θ = 38.20°, I 24
- 2θ = 30.22°, I 22
- 2θ = 41.85°, I 18
- 2θ = 22.60°, I 17
- 2θ = 56.93°, I 16

Structural model:
a = 7.304 Å, b = 3.235 Å, c = 9.339 Å
α = 90.00°, β = 90.15°, γ = 90.00°
Space group Pm (No. 6)
Unique sites:
Nb (0.000, 0.000, 0.000) x1
Nb (0.144, 0.500, 0.498) x1
Nb (0.644, 0.000, 0.742) x1
V (0.252, 0.000, 0.736) x1
V (0.395, 0.000, 0.010) x1
V (0.505, 0.500, 0.241) x1
V (0.748, 0.500, 0.505) x1
V (0.890, 0.500, 0.236) x1
B (0.208, 0.500, 0.106) x1
B (0.213, 0.500, 0.911) x1
B (0.433, 0.500, 0.834) x1
B (0.440, 0.500, 0.637) x1
B (0.693, 0.000, 0.141) x1
B (0.702, 0.000, 0.331) x1
B (0.930, 0.000, 0.407) x1
B (0.938, 0.000, 0.601) x1
Ir (0.194, 0.000, 0.261) x1
Ir (0.455, 0.000, 0.476) x1
Ir (0.687, 0.500, 0.983) x1
Ir (0.955, 0.500, 0.761) x1

***

Please write out number 2 again, unchanged.
This entry pairs a crystal structure of Nb3V5B8Ir4 with its simulated powder diffraction line list. Radiation: Cu Kα (λ = 1.5418 Å). Structure: a crystal structure in Alexandria, relaxed with PBE.
Kinematic intensities with the Lorentz-polarization factor, no thermal factor.
........
The board voted to post notices for two months, giving time for tenants to become aware and comfortable with the new smoke-free policy before it took effect on August 1st. Quit Line material was provided to the tenants by Tammi Meissner for those who decided it was time to quit. One tenant took advantage of the new policy and used August 1st as her quit.
A comprehensive smoke-free housing policy that included electronic nicotine devices was signed and as of August 1, 2016 the Wrangell Senior Apartments became smoke-free. This is the largest multi-unit housing that has gone smoke-free in Wrangell. The Partnership for a Tobacco Free Southeast and SEARHC would like to congratulate the Wrangell Senior Apartments for passing a policy that creates a healthier living environment for our seniors and those that visit them.
## Unrelated to this piece: data records
(1)
Structure and theoretical powder diffraction line list of Pr2Tm3PuSe6 (a DFT-relaxed cell (PBE, Alexandria); CuKα).
Kinematic intensities with the Lorentz-polarization factor, no thermal factor.

```
data_Pr2Tm3PuSe6
_cell_length_a 18.113
_cell_length_b 4.062
_cell_length_c 8.374
_cell_angle_alpha 90.00
_cell_angle_beta 105.19
_cell_angle_gamma 90.00
_symmetry_space_group_name_H-M 'C 1 2/m 1'
_symmetry_Int_Tables_number 12
loop_
_symmetry_equiv_pos_as_xyz
'x,y,z'
'-x,-y,-z'
'-x,y,-z'
'x,-y,z'
'x+1/2,y+1/2,z'
'-x+1/2,-y+1/2,-z'
'-x+1/2,y+1/2,-z'
'x+1/2,-y+1/2,z'
loop_
_atom_site_label
_atom_site_type_symbol
_atom_site_fract_x
_atom_site_fract_y
_atom_site_fract_z
Pr1 Pr 0.167 0.000 0.334
Tm1 Tm 0.000 0.500 0.500
Tm2 Tm 0.168 0.000 0.836
Pu1 Pu 0.000 0.500 0.000
Se1 Se 0.005 0.000 0.745
Se2 Se 0.161 0.500 0.597
Se3 Se 0.169 0.500 0.071
```

Largest 10 diffraction maxima, sorted by position, 15 to 90 degrees two-theta:
(hkl)  2θ (°)  I (rel.)
3 1 0  26.76  12.3
6 0 0  30.68  100.0
2 0 -4  43.24  12.7
7 1 -2  43.42  25.1
5 1 2  44.46  24.2
0 2 0  44.62  12.0
6 2 0  55.13  12.9
12 0 0  63.89  12.0
13 1 -2  71.79  10.9
11 1 2  73.29  10.9


(2)
Structure and theoretical powder diffraction line list of CaTbY2Bi4 (a DFT-relaxed cell (PBE, Alexandria); CuKα).
Kinematic intensities with the Lorentz-polarization factor, no thermal factor.

```
data_CaTbY2Bi4
_cell_length_a 7.844
_cell_length_b 4.485
_cell_length_c 7.848
_cell_angle_alpha 90.00
_cell_angle_beta 109.10
_cell_angle_gamma 90.00
_symmetry_space_group_name_H-M 'P 1 2/m 1'
_symmetry_Int_Tables_number 10
loop_
_symmetry_equiv_pos_as_xyz
'x,y,z'
'-x,-y,-z'
'-x,y,-z'
'x,-y,z'
loop_
_atom_site_label
_atom_site_type_symbol
_atom_site_fract_x
_atom_site_fract_y
_atom_site_fract_z
Ca1 Ca 0.000 0.000 0.000
Tb1 Tb 0.500 0.500 0.000
Y1 Y 0.000 0.500 0.500
Y2 Y 0.500 0.000 0.500
Bi1 Bi 0.252 0.000 0.747
Bi2 Bi 0.255 0.500 0.256
```

Largest 10 diffraction maxima, sorted by position, 15 to 90 degrees two-theta:
(hkl)  2θ (°)  I (rel.)
2 0 0  24.01  12.4
1 1 -1  24.25  12.2
1 1 1  27.93  100.0
2 0 2  39.61  13.2
3 1 -1  39.91  52.0
0 2 0  40.22  12.7
4 0 0  49.16  14.3
2 2 -2  49.67  13.9
4 0 -4  57.72  13.3
4 2 0  65.31  24.6


(3)
Structure and theoretical powder diffraction line list of Nd3SmCd8 (a DFT-relaxed cell (PBE, Alexandria); CuKα).
Kinematic intensities with the Lorentz-polarization factor, no thermal factor.

```
data_Nd3SmCd8
_cell_length_a 6.0083
_cell_length_b 6.0083
_cell_length_c 29.2750
_cell_angle_alpha 90.00
_cell_angle_beta 90.00
_cell_angle_gamma 120.00
_symmetry_space_group_name_H-M 'R 3 m'
_symmetry_Int_Tables_number 160
_symmetry_space_group_name_Hall 'R 3 -2"'
loop_
_atom_site_label
_atom_site_type_symbol
_atom_site_fract_x
_atom_site_fract_y
_atom_site_fract_z
Nd1 Nd 0.0000 0.0000 0.0000
Nd2 Nd 0.0000 0.0000 0.1245
Nd3 Nd 0.0000 0.0000 0.6244
Sm1 Sm 0.0000 0.0000 0.5001
Cd1 Cd 0.0000 0.0000 0.3123
Cd2 Cd 0.0000 0.0000 0.8122
Cd3 Cd 0.0004 0.5002 0.0625
Remember, there is no risk-free level of secondhand smoke. Eliminating smoking indoor spaces is the only way to fully protect nonsmokers from secondhand smoke exposure.
Article written by Tammi Meissner, POW and Wrangell Health Educator and Tobacco Policy
If you are interested in additional information on smoke-free housing or for samples of smoke-free housing policies, visit Alaskatca.org or call 1-888-474-4635. If you are looking for smoke-free housing in Alaska check on the web at www.alaskasmokefreehousing.org.